**Work order:**
Filter the notes further below: keep the lines with the word "two_theta", please.
**Excerpt:**
____________
Simulated powder diffraction line list
Compound: NaSe2O6
Radiation: CuKα
Structure: a GGA-PBE-relaxed structure
Peak positions follow from Bragg's law for the DFT cell and can differ from measured ones.

Structural model:
```
NaSe2O6
1.0
5.960 0.000 0.000
0.000 5.249 0.000
-5.914 0.000 10.408
Na Se O
2 4 12
Cartesian
0.000 0.000 0.000
-2.957 2.625 5.204
-0.043 0.929 3.455
-3.000 1.696 8.659
3.046 3.554 1.749
0.089 4.321 6.953
-1.656 1.250 3.645
-4.613 1.375 8.849
0.561 1.269 1.939
-2.396 1.356 7.143
-0.846 3.834 5.675
2.111 4.040 0.471
-2.066 1.210 9.937
0.892 1.415 4.733
2.442 3.894 3.265
-0.515 3.980 8.469
4.659 3.874 1.559
1.702 4.000 6.763
```

Most intense lines, 2θ = 10–90°, by intensity:
two_theta  I_rel
24.13  100
22.57  15
17.06  11
29.98  10
34.16  9
29.86  8
17.18  8
38.45  8
29.74  7
30.89  7


Simulated powder diffraction line list
Compound: Na2Se2O7
Radiation: CuKα
Structure: a GGA-PBE-relaxed structure
Peak positions follow from Bragg's law for the DFT cell and can differ from measured ones.

Structural model:
```
Na2Se2O7
1.0
7.161 0.000 0.000
0.860 7.161 0.000
0.845 3.006 6.572
Na Se O
4 4 14
Cartesian
1.075 2.683 1.542
3.460 6.436 2.588
5.406 3.731 3.984
7.791 7.484 5.029
1.855 3.924 4.772
4.215 8.338 5.683
4.651 1.829 0.888
7.012 6.243 1.800
1.089 7.075 2.523
1.383 5.169 5.734
2.587 2.844 6.024
3.122 7.554 4.739
3.042 4.273 3.677
3.491 4.860 0.677
3.227 1.487 1.646
5.639 8.680 4.926
5.375 5.307 5.895
5.825 5.894 2.895
5.744 2.613 1.833
6.280 7.323 0.548
7.484 4.998 0.838
7.778 3.092 4.049
```

Most intense lines, 2θ = 10–90°, by intensity:
two_theta  I_rel
27.38  100
19.07  84
27.70  81
17.89  67
29.61  59
26.38  53
26.15  52
29.40  46
24.76  45
27.14  24


Simulated powder diffraction line list
Compound: Na2SeO9
Radiation: CuKα
Structure: a GGA-PBE-relaxed structure
Peak positions follow from Bragg's law for the DFT cell and can differ from measured ones.

Structural model:
```
Na2SeO9
1.0
7.880 0.000 0.000
0.000 7.880 0.000
0.000 0.000 12.039
Na Se O
8 4 36
Cartesian
0.000 1.457 0.000
0.000 6.423 6.019
1.457 0.000 9.029
1.983 3.940 3.010
3.940 1.983 6.019
3.940 5.897 0.000
5.897 3.940 9.029
6.423 0.000 3.010
0.000 1.521 6.019
0.000 6.359 0.000
1.521 0.000 3.010
6.359 0.000 9.029
0.513 3.854 8.410
0.513 4.027 9.648
0.532 1.149 2.221
0.532 6.731 3.799
1.149 0.532 6.808
1.149 7.348 11.250
1.409 1.409 4.515
1.409 6.471 1.505
2.240 2.816 11.890
2.240 5.064 6.169
2.457 3.866 0.528
2.457 4.014 5.491
2.816 2.240 9.178
2.816 5.640 8.880
3.854 0.513 0.619
3.854 7.367 5.400
3.866 2.457 8.501
3.866 5.423 9.557
4.014 2.457 3.538
4.014 5.423 2.481
4.027 0.513 11.420
4.027 7.367 6.638
5.064 2.240 2.861
5.064 5.640 3.159
5.423 3.866 11.511
5.423 4.014 6.548
5.640 2.816 0.149
5.640 5.064 5.870
6.471 1.409 7.524
6.471 6.471 10.534
6.731 0.532 5.230
6.731 7.348 0.789
7.348 1.149 9.818
7.348 6.731 8.240
7.367 3.854 3.629
7.367 4.027 2.391
```

Most intense lines, 2θ = 10–90°, by intensity:
two_theta  I_rel
29.37  100
11.23  92
13.43  48
29.68  48
26.35  46
27.05  44
33.85  35
15.91  35
17.54  30
36.04  29


Simulated powder diffraction line list
Compound: NaSrSmSeO6
Radiation: CuKα
Structure: a GGA-PBE-relaxed structure
Peak positions follow from Bragg's law for the DFT cell and can differ from measured ones.

Structural model:
```
NaSrSmSeO6
1.0
0.000 4.079 4.079
4.079 0.000 4.079
4.079 4.079 0.000
Na Sr Sm Se O
1 1 1 1 6
Cartesian
0.000 0.000 0.000
4.079 4.079 4.079
6.118 6.118 6.118
2.039 2.039 2.039
2.039 2.039 0.216
2.039 0.216 2.039
3.862 2.039 2.039
0.216 2.039 2.039
2.039 3.862 2.039
2.039 2.039 3.862
```

Most intense lines, 2θ = 10–90°, by intensity:
two_theta  I_rel
31.01  100
55.16  38
44.42  35
21.79  30
64.63  20
73.41  18
18.84  15
36.53  13
50.00  11
48.65  8


Simulated powder diffraction line list
Compound: NaSrTbSeO6
Radiation: CuKα
Structure: a GGA-PBE-relaxed structure
Peak positions follow from Bragg's law for the DFT cell and can differ from measured ones.

Structural model:
```
NaSrTbSeO6
1.0
____________
**Reply:**
two_theta  I_rel
two_theta  I_rel
two_theta  I_rel
two_theta  I_rel